It remains to set down only the lines further down with the word "e_homo_ev" in them.

No. 1
{
  "formula": "C3H7NOS2",
  "method": "ωB97M-V/def2-TZVPD",
  "species": ["H", "H", "H", "O", "S", "S", "H", "C", "H", "C", "N", "H", "C", "H"],
  "positions_angstrom": [[-0.331, -2.522, 1.177], [0.654, 0.326, -1.949], [-2.717, -2.611, 1.868], [1.339, -0.731, 1.086], [-0.489, 2.254, -0.409], [0.039, -0.403, 1.619], [0.992, 3.163, -1.989], [0.710, 2.276, -1.473], [2.178, 0.611, -1.289], [-0.875, -1.802, 1.663], [-2.098, -1.900, 2.193], [1.828, 1.316, -3.014], [1.385, 1.081, -2.032], [-2.614, -1.059, 2.548]],
  "charge": 0,
  "e_above_lowest_kj_mol": 331.5,
  "orbital_gap_ha": 0.286,
  "e_homo_ev": -7.74,
  "lumo_energy_ev": 0.048
}



No. 2
{
  "formula": "C3H7NOS2",
  "method": "ωB97M-V/def2-TZVPD",
  "species": ["H", "H", "H", "H", "S", "O", "C", "H", "H", "C", "H", "S", "N", "C"],
  "positions_angstrom": [[0.285, -0.279, 1.392], [1.373, -0.755, -0.471], [-2.428, -1.525, 0.380], [0.002, 1.942, 1.325], [2.209, 1.571, 1.050], [-0.025, -0.749, -2.960], [0.871, 1.872, 1.831], [0.721, -0.189, -3.126], [0.909, 2.114, 2.968], [-0.550, -0.885, -1.680], [-1.612, -1.030, -1.874], [-1.862, -0.427, 1.043], [-0.167, -0.862, 0.710], [0.275, -0.800, -0.588]],
  "charge": 0,
  "e_above_lowest_kj_mol": 424.3,
  "smiles": "O/C=C/NS.C=S",
  "orbital_gap_ha": 0.255,
  "e_homo_ev": -7.82,
  "lumo_energy_ev": -0.878
}



No. 3
{
  "formula": "C3H7NOS2",
  "method": "ωB97M-V/def2-TZVPD",
  "species": ["S", "C", "C", "H", "H", "H", "H", "O", "H", "C", "H", "S", "N", "H"],
  "positions_angstrom": [[-3.494, 0.255, -0.301], [0.840, 0.202, 0.414], [1.918, -0.731, 0.035], [-1.455, 1.289, 0.549], [-4.006, -0.106, 0.959], [1.495, -1.748, 0.117], [2.853, -0.372, 0.566], [-0.999, -1.518, -0.740], [1.819, 1.267, -1.407], [-0.887, -0.442, -0.302], [0.571, 0.419, 1.388], [0.945, 1.766, -0.428], [-1.767, 0.399, 0.209], [2.167, -0.681, -1.059]],
  "charge": 0,
  "e_above_lowest_kj_mol": 274.3,
  "orbital_gap_ha": 0.317,
  "e_homo_ev": -8.15,
  "lumo_energy_ev": 0.469
}



No. 4
{
  "formula": "C3H7NOS2",
  "method": "ωB97M-V/def2-TZVPD",
  "species": ["S", "N", "H", "H", "C", "O", "C", "H", "H", "H", "C", "H", "S", "H"],
  "positions_angstrom": [[-2.086, -0.470, -3.775], [-0.917, 0.302, 1.024], [-2.434, -0.277, -2.482], [-1.149, 2.129, 0.558], [1.445, -0.394, 0.521], [1.843, 2.265, 1.569], [0.088, -0.792, 1.171], [2.296, -0.560, 1.158], [-1.463, -1.558, -3.403], [-0.415, -1.750, 0.865], [-0.478, 1.363, 0.607], [0.261, -0.894, 2.344], [1.425, 1.507, 0.372], [1.585, -0.871, -0.528]],
  "charge": 0,
  "e_above_lowest_kj_mol": 303.4,
  "orbital_gap_ha": 0.353,
  "e_homo_ev": -9.12,
  "lumo_energy_ev": 0.489
}



No. 5
{
  "formula": "C3H7NOS2",
  "method": "ωB97M-V/def2-TZVPD",
  "species": ["O", "C", "H", "C", "S", "S", "N", "H", "H", "H", "H", "H", "C", "H"],
  "positions_angstrom": [[0.517, -1.726, -0.259], [0.734, -0.538, -0.182], [-3.230, -0.418, -0.603], [-1.197, 0.643, -0.221], [3.349, -0.623, -0.166], [1.593, 1.938, -0.131], [1.744, 0.270, -0.284], [-2.555, -0.779, 0.856], [-1.043, 0.896, -1.259], [-1.011, 1.163, 0.699], [2.947, -0.776, 1.026], [-1.744, -1.421, -0.424], [-2.204, -0.509, -0.104], [2.100, 1.880, 1.053]],
  "charge": 0,
  "e_above_lowest_kj_mol": 472.0,
  "orbital_gap_ha": 0.289,
  "e_homo_ev": -8.12,
  "lumo_energy_ev": -0.251
}



No. 6
{
  "formula": "C3H7NOSi",
  "method": "ωB97M-V/def2-TZVPD",
  "species": ["H", "H", "O", "H", "H", "Si", "H", "C", "H", "N", "C", "C", "H"],
  "positions_angstrom": [[-0.583, 1.303, 2.598], [0.485, 1.014, -2.309], [2.401, -0.593, 1.071], [-0.330, -1.233, 2.443], [-1.915, 0.174, 0.948], [-0.674, 0.097, 1.720], [-0.820, -1.167, -0.826], [-0.198, 0.182, -2.221], [0.838, 1.296, -0.033], [1.387, -0.837, 0.455], [-0.292, -0.291, -0.979], [0.537, 0.224, 0.072], [-0.838, -0.169, -2.939]],
  "charge": 0,
  "e_above_lowest_kj_mol": 435.2,
  "smiles": "C=C[C@@H]([SiH3])N=O",
  "orbital_gap_ha": 0.331,
  "e_homo_ev": -8.86,
  "lumo_energy_ev": 0.142
}



No. 7
{
  "formula": "C3H7NOSi",

  "e_homo_ev": -7.74,
  "e_homo_ev": -7.82,
  "e_homo_ev": -8.15,
  "e_homo_ev": -9.12,
  "e_homo_ev": -8.12,
  "e_homo_ev": -8.86,